== Excerpt ==
[1]
Compound: Rb2Na2SiO4
Source: the Materials Project database
Functional: PBE
Structure: optimized geometry Values from VASP.

The structure in Quantum ESPRESSO input format:
```
&SYSTEM
  ibrav = 0, nat = 72, ntyp = 4
/
ATOMIC_SPECIES
O 16.00 O.upf
Si 28.09 Si.upf
Na 22.99 Na.upf
Rb 85.47 Rb.upf
ATOMIC_POSITIONS crystal
O 0.191 0.310 0.619
O 0.842 0.394 0.698
O 0.039 0.852 0.588
O 0.461 0.352 0.588
O 0.878 0.163 0.774
O 0.191 0.190 0.119
O 0.961 0.352 0.912
O 0.658 0.894 0.698
O 0.622 0.663 0.774
O 0.309 0.690 0.119
O 0.309 0.810 0.619
O 0.039 0.648 0.088
O 0.158 0.606 0.302
O 0.809 0.690 0.381
O 0.622 0.837 0.274
O 0.122 0.837 0.226
O 0.842 0.106 0.198
O 0.342 0.106 0.302
O 0.342 0.394 0.802
O 0.158 0.894 0.802
O 0.378 0.337 0.226
O 0.878 0.337 0.274
O 0.658 0.606 0.198
O 0.378 0.163 0.726
O 0.809 0.810 0.881
O 0.961 0.148 0.412
O 0.539 0.648 0.412
O 0.461 0.148 0.088
O 0.691 0.310 0.881
O 0.691 0.190 0.381
O 0.539 0.852 0.912
O 0.122 0.663 0.726
Si 0.842 0.304 0.818
Si 0.842 0.196 0.318
Si 0.158 0.804 0.682
Si 0.658 0.696 0.318
Si 0.658 0.804 0.818
Si 0.342 0.304 0.682
Si 0.342 0.196 0.182
Si 0.158 0.696 0.182
Na 0.092 0.451 0.753
Na 0.467 0.251 0.406
Na 0.908 0.549 0.247
Na 0.092 0.049 0.253
Na 0.467 0.249 0.906
Na 0.408 0.549 0.253
Na 0.592 0.049 0.247
Na 0.033 0.749 0.906
Na 0.533 0.749 0.594
Na 0.908 0.951 0.747
Na 0.592 0.451 0.747
Na 0.967 0.249 0.594
Na 0.033 0.751 0.406
Na 0.408 0.951 0.753
Na 0.533 0.751 0.094
Na 0.967 0.251 0.094
Rb 0.140 0.350 0.364
Rb 0.640 0.350 0.136
Rb 0.298 0.563 0.536
Rb 0.640 0.150 0.636
Rb 0.202 0.437 0.036
Rb 0.798 0.563 0.964
Rb 0.860 0.850 0.136
Rb 0.798 0.937 0.464
Rb 0.702 0.437 0.464
Rb 0.360 0.850 0.364
Rb 0.360 0.650 0.864
Rb 0.298 0.937 0.036
Rb 0.860 0.650 0.636
Rb 0.702 0.063 0.964
Rb 0.140 0.150 0.864
Rb 0.202 0.063 0.536
CELL_PARAMETERS angstrom
-3.675 -8.548 -3.476
7.712 -5.592 5.599
-6.913 -0.640 8.882
```

Summary:
Corrected total energy (MP2020 scheme): -5.648 eV/atom
Formation enthalpy at 0 K: -2.3342 eV/atom
Magnetization: 0.0000 μB/atom



[2]
Compound: Rb3Ca
Source: the Materials Project database
Functional: PBE
Structure: optimized geometry Values from VASP.

The structure in Quantum ESPRESSO input format:
```
&SYSTEM
  ibrav = 0, nat = 8, ntyp = 2
/
ATOMIC_SPECIES
Rb 85.47 Rb.upf
Ca 40.08 Ca.upf
ATOMIC_POSITIONS crystal
Rb 0.172 0.344 0.250
Rb 0.344 0.172 0.750
Rb 0.828 0.172 0.750
Rb 0.656 0.828 0.250
Rb 0.828 0.656 0.750
Rb 0.172 0.828 0.250
Ca 0.667 0.333 0.250
Ca 0.333 0.667 0.750
CELL_PARAMETERS angstrom
4.725 -8.183 0.000
4.725 8.183 0.000
0.000 0.000 7.672
```

Summary:
Formation enthalpy at 0 K: 0.1866 eV/atom
Magnetization: 0.0006 μB/atom


Record 1
DFT (PBE-GGA) results for crystalline Cs2LiBr3 at its relaxed geometry.

Properties
**Space-group type**: Cmcm, No. 63

Cell: 12.5410 12.5410 8.2453 Å, 90.00 90.00 159.27°
Sites, in units of the cell vectors:
Cs: 0.0053 0.9947 0.7500
Cs: 0.1774 0.8226 0.2500
Cs: 0.8226 0.1774 0.7500
Cs: 0.9947 0.0053 0.2500
Li: 0.3506 0.6494 0.2500
Li: 0.6494 0.3506 0.7500
Br: 0.2048 0.7952 0.7500
Br: 0.4120 0.5880 0.5020
Br: 0.4120 0.5880 0.9980
Br: 0.5880 0.4120 0.0020
Br: 0.5880 0.4120 0.4980
Br: 0.7952 0.2048 0.2500

***

Record 2
DFT (PBE-GGA) results for crystalline Cs2LiNdBr6 at its relaxed geometry.

Properties
**Space-group type**: Fm-3m, No. 225

Cell: 8.0407 8.0407 8.0407 Å, 60.00 60.00 60.00°
Sites, in units of the cell vectors:
Cs: 0.2500 0.2500 0.2500
Cs: 0.7500 0.7500 0.7500
Li: 0.0000 0.0000 0.0000
Nd: 0.5000 0.5000 0.5000
Br: 0.2457 0.2457 0.7543
Br: 0.2457 0.7543 0.2457
Br: 0.2457 0.7543 0.7543
Br: 0.7543 0.2457 0.2457
Br: 0.7543 0.2457 0.7543
Br: 0.7543 0.7543 0.2457

***

Record 3
DFT (PBE-GGA) results for crystalline Cs2LiTaBr6 at its relaxed geometry.

Properties
**Space-group type**: Fm-3m, No. 225

Cell: 7.7433 7.7433 7.7433 Å, 60.00 60.00 60.00°
Sites, in units of the cell vectors:
Cs: 0.2500 0.2500 0.2500
Cs: 0.7500 0.7500 0.7500
Li: 0.0000 0.0000 0.0000
Ta: 0.5000 0.5000 0.5000

== Brief ==
Filter the notes further above: keep the lines with the word "total", please.

== Done ==
Corrected total energy (MP2020 scheme): -5.648 eV/atom